temp = { // // telnet // // ____ _ // ___ \ \ __ _ | \ // / _ \ \ \ \ \ \ | | | \ // \ \\ \ \ \ \ \ \| | | \ // |_||_| \___| \___| | || \ // |_||__\ // ▓▓▓▓▓▓▓▓▓▓▓▓▓▓▓▓▓▓ // telnet:{ execute: function(){ output = "" output += "     ____            _     
" output += " ___ \\   \\  __   _  | \\    
" output += "/ _ \\ \\ \\ \\ \\ \\ | | |  \\   
" output += "\\ \\\\ \\ \\ \\ \\ \\ \\| | |   \\  
" output += " |_||_| \\___| \\___| | || \\   
" output += "                    |_||__\\  
" output += " ▓▓▓▓▓▓▓▓▓▓▓▓▓▓▓          
" //output += " ▒▒▒▒▒▒▒▒▒▒▒▒▒▒▒  |       
" output += "

**Misplaced quantum chemistry results**
[1]
42
Properties=species:S:1:pos:R:3:forces:R:3 method="wB97M-V/def2-TZVPD" e_above_lowest_kj_mol=1721.55 gap_ev=8.90 homo_energy_ev=-8.90
C -2.426454 -3.016916 -0.995525 -2.798 -5.104 -0.388
C -3.210695 -2.266885 -0.107363 -4.993 1.254 5.870
C -4.668524 -2.475608 -0.342618 -4.676 -4.237 -0.842
O -5.608886 -1.799462 -0.657243 1.971 0.152 0.642
O -5.065173 -4.036871 -0.263926 -0.313 2.603 0.438
H -6.087841 -4.128510 -0.206074 2.616 0.878 -0.293
H -3.164186 -2.621768 1.089312 0.435 1.510 -2.982
S -3.209618 -0.422889 -0.418471 0.573 -0.791 0.666
C -1.721891 -0.255064 0.431117 0.040 -7.301 1.405
N -0.991222 -1.278898 1.144931 -1.345 3.996 -0.347
N 0.043651 -0.509420 1.657635 1.405 -6.886 2.416
C 0.058791 0.642663 1.197599 6.658 1.450 3.350
N -0.934281 0.708283 0.464533 -5.095 13.144 -6.009
C -1.289918 2.229533 0.073186 4.080 -4.510 -3.276
C -0.393407 2.848197 -0.832077 -2.408 -3.175 4.803
C -0.812587 4.061008 -1.102924 10.583 3.284 -6.146
C -1.979782 4.434362 -0.971919 -11.323 9.753 0.345
C -2.973455 3.816867 -0.206147 -1.478 7.726 -5.004
C -2.484828 2.751303 0.184470 -5.574 -10.287 8.862
H -3.330710 2.126461 0.947394 2.642 1.151 -2.100
H -3.976118 4.254849 -0.214727 0.443 -0.615 0.630
H -2.409163 5.649338 -1.284110 1.872 -3.694 0.443
H -0.027774 4.769494 -1.747564 -2.094 -1.724 1.829
H 0.543372 2.517366 -0.693429 3.564 -0.976 -1.096
C 1.256967 1.655065 1.433696 -3.348 -5.666 9.034
H 1.834457 1.125362 2.567237 -2.275 1.258 -2.368
O 2.211333 1.515533 0.640240 -5.374 10.630 -3.498
C 3.160938 0.893357 0.325254 -2.420 -14.364 9.633
C 4.004655 1.053077 -0.478457 12.090 4.502 -10.723
C 5.107201 0.161791 -0.884857 -0.387 12.857 -6.980
C 5.117656 -0.946186 -0.423200 0.142 -10.516 4.145
C 4.124022 -1.450125 0.434956 -2.492 0.992 4.245
C 3.191780 -0.493919 0.950094 0.662 -3.314 -1.109
H 2.389087 -0.976930 1.615320 1.166 1.447 -0.930
H 4.149778 -2.474349 1.007363 0.159 2.001 -1.765
Cl 6.388569 -1.973053 -0.787396 1.808 -1.858 -0.642
H 5.842094 0.486656 -1.859095 -2.071 -0.701 3.346
H 4.037527 2.094686 -0.759828 0.341 0.324 -1.218
H 0.821488 2.519704 1.894081 0.724 1.638 -1.063
H -1.550512 -2.678612 -0.761223 5.949 1.141 0.335
H -2.571268 -4.161693 -0.810502 0.380 2.183 -0.590
H -2.833368 -2.649208 -1.865850 0.163 -0.153 -3.069

[2]
39
Properties=species:S:1:pos:R:3:forces:R:3 method="wB97M-V/def2-TZVPD" e_above_lowest_kj_mol=390.96 gap_ev=9.54 homo_energy_ev=-9.93
O 2.175183 2.895023 -0.093486 -0.689 -0.102 -1.078
H 1.739019 3.641635 0.317896 0.564 0.026 0.447
H 3.009475 2.662438 0.307278 0.154 0.269 0.456
O 2.598845 -2.065274 1.010029 -0.551 0.739 -0.727
H 2.461631 -1.202654 0.580192 0.751 0.568 0.833
H 1.937994 -2.448719 0.428363 -0.390 -1.394 0.206
O 0.430490 -0.645574 -3.119720 1.363 -0.788 -0.254
H 0.292050 -0.309853 -2.232368 -0.695 0.193 -0.256
H -0.353535 -0.672156 -3.656470 -0.638 0.178 0.329
O -0.323086 -2.891949 0.350138 2.658 -0.740 -1.299
H -0.721410 -3.515840 0.947331 -1.145 0.627 -0.101
H -0.684709 -2.046522 0.107557 -1.004 0.240 1.183
" output += "the only source on the sandbox network
" output += "-n0v4" write(output) var x_adventure = { header:'n0v4 Bulletin Board:', options: [ { title:"Check out the Zine!", callback: function(){ launchAdventureFromSlug('nova_zine') } }, { title:"Bulletin Boards", callback: function(){ launchAdventureFromSlug('nova_bbs') } }, { title:"Games", // rock paper scissor. kings quest. callback: function(){ launchAdventureFromSlug('nova_games') } }, { title:"FAQs", callback: function(){ write("No Questions submitted so far!!!") } }, { title:"Exit", callback: function(){ endHost() endAdventure() } }, ] } setAdventure(x_adventure) } }, 'nova_zine':{ execute: function(){ update('nova-zine') addBuffer("^v^v^v^v^v^v^v^v^v^v^v^v^v^v^v^v^") addBuffer(" W3LC0M3 to the n0v4zine portal!") addBuffer("^v^v^v^v^v^v^v^v^v^v^v^v^v^v^v^v^") addBuffer("") addBuffer("the timeless zine
-n0v4") writeBuffer() var x_adventure = { header:'n0v4 zines:', back: 'telnet', options: [ { title:"n0v4zine xx45", callback: function(){ write("n0v4zine xx45
help me help me help me is there an end to this cycle i only wait for the takeover so i can depart and return again why wont this end what is keeping me here why am i here forever why am i here forever
-- Misplaced data records --
┌──
Formula: C13H21N5O3
Source: OMol25
Level of theory: ωB97M-V/def2-TZVPD

frontier orbital gap = 9.349 eV
LUMO energy = 0.823 eV
energy relative to the best compared isomer or geometry (same formula, charge and spin) = 1.446 eV
SMILES = CCOc1nc(N2CCOCC2)nc(N2CCOCC2)n1

The geometry in XYZ format:
```
42
Properties=species:S:1:pos:R:3:lowdin_charge:R:1
C 3.7784 3.8678 -0.2803 -0.067
C 3.1425 2.4945 -0.1535 -0.253
O 1.7621 2.6748 0.1337 0.009
C 1.0413 1.5720 0.2963 -0.414
N -0.2366 1.7735 0.5689 0.202
C -0.9588 0.6583 0.7193 -0.342
N -2.2576 0.8023 1.0393 -0.057
C -3.1578 -0.3210 1.0517 -0.122
C -3.9542 -0.3473 -0.2694 -0.175
O -4.0410 0.9374 -0.8500 -0.131
C -4.1877 1.9535 0.1127 -0.184
C -2.9058 2.0924 0.9592 -0.111
N -0.4752 -0.5822 0.6191 0.188
C 0.8265 -0.6603 0.3518 -0.341
N 1.3860 -1.8831 0.2907 -0.058
C 0.5857 -3.0843 0.2638 -0.120
C 0.6046 -3.6682 -1.1543 -0.185
O 1.9255 -3.8930 -1.5947 -0.134
C 2.6770 -2.6990 -1.5946 -0.184
C 2.7325 -2.0793 -0.1928 -0.120
N 1.6351 0.3948 0.1756 0.190
H 3.6564 4.4206 0.6468 0.076
H 3.3008 4.4264 -1.0803 0.076
H 4.8374 3.7640 -0.4987 0.075
H 3.6067 1.9152 0.6534 0.119
H 3.2470 1.9223 -1.0831 0.119
H -3.8340 -0.2053 1.9057 0.125
H -2.5747 -1.2321 1.1718 0.106
H -3.4531 -0.9686 -1.0144 0.121
H -4.9643 -0.7484 -0.0894 0.121
H -4.3819 2.8710 -0.4443 0.125
H -5.0560 1.7405 0.7546 0.121
H -3.1533 2.4493 1.9665 0.126
H -2.1948 2.7817 0.5029 0.110
H -0.4284 -2.8320 0.5685 0.107
H 1.0209 -3.8079 0.9619 0.131
H 0.1051 -4.6378 -1.1842 0.126
H 0.0943 -2.9720 -1.8378 0.129
H 3.6755 -2.9686 -1.9422 0.126
H 2.2294 -1.9747 -2.2924 0.129
H 3.2372 -1.1147 -0.2121 0.111
H 3.2502 -2.7634 0.4884 0.131
```
└──
-- The piece goes on --
-n0v4") } }, { title:"n0v4zine xx44", callback: function(){ write("n0v4zine xx44
the discoveries of old become the discoveries of now the discoveries of now become the discoveries of all the discoveries of all are lost at the end the discovery of our quantumself is the end the discovery of our quantumself is time itself
-n0v4") } }, { title:"n0v4zine xx43", callback: function(){ write("n0v4zine xx43
why is some lost and some kept why must i relearn why must i repeat why must i relearn why do i know what i must relearn what can i do to remember more what if my knowledge grew on my return what if i knew my quantumself
-n0v4") } }, { title:"Download Archive", callback: function(){ var x_oldfile = g_file_list['nova-zines'] var x_newfile = advanceFile(x_oldfile) g_file_list['nova-zines'] = x_newfile if(addFileFromObj(x_oldfile)){ write("Download Complete: n0v4zines.txt") }else{ write("Not enough free space! Requires "+formatBytes(x_newfile.size)+" disk space to download.") } } }, ] } setAdventure(x_adventure) } }, 'nova_games':{ execute: function(){ update('nova-games') addBuffer("^v^v^v^v^v^v^v^v^v^v^v^v^v^") addBuffer(" the n0va Games collection") addBuffer("^v^v^v^v^v^v^v^v^v^v^v^v^v^") addBuffer("") addBuffer("what else to do?
-n0v4") writeBuffer(); var x_adventure = { header:'Games:', back: 'telnet', options: [ { title:"Time Quest", callback: function(){ launchAdventureFromSlug('tq_start') } }, { title:"Rock Paper Scissor", callback: function(){ launchAdventureFromSlug('rockpaperscissor') } }, ] } setAdventure(x_adventure) } }, 'nova_bbs':{ execute: function(){ update('nova-bbs') addBuffer("^v^v^v^v^v^v^v^v^v^v^v^v^") addBuffer(" the n0va Bulletin Board") addBuffer("^v^v^v^v^v^v^v^v^v^v^v^v^") addBuffer("") addBuffer("New accounts disabled!
-n0v4") writeBuffer() nova_current_post = 0 var x_adventure = { header: 'Choose Subject', back: 'telnet', options: [ { title:"Doctor Who", callback: function(){ bbs_subject = 'who' bbs_subject_t = "Doctor Who" launchAdventureFromSlug('nova_forum') } }, { title:"RDP HELP", callback: function(){ bbs_subject = 'rdp' bbs_subject_t = "NEED HELP" launchAdventureFromSlug('nova_forum') } }, { title:"Quantum Messages", callback: function(){ bbs_subject = 'msg' bbs_subject_t = "Quantum Messages" launchAdventureFromSlug('nova_forum') } }, { title:"Sony Cracking", callback: function(){ bbs_subject = 'sony' bbs_subject_t = "Sony Games" launchAdventureFromSlug('nova_forum') } }, { title:"netsec practices", callback: function(){ bbs_subject = 'netsec' bbs_subject_t = "netsec practices" launchAdventureFromSlug('nova_forum') } }, ] } setAdventure(x_adventure) } }, 'nova_forum':{ execute: function(){ var posts = bbs_subjects[bbs_subject], post = posts[nova_current_post], options = [] if(!nova_current_post){ addBuffer("Subject: "+bbs_subject_t+"") } if(nova_current_post > posts.length) return launchAdventureFromSlug('nova_bbs') $.each(post.a, function(key,val){ if(key){ addBuffer(val) }else{ addBuffer("from "+val+"") } }) writeBuffer() nova_current_post++ if(post.callback) post.callback() if(posts.length != nova_current_post){ options.push( { title:"Next", callback: function(){ launchAdventureFromSlug('nova_forum') } } ) } if(post.file){ write(""+g_file_list[post.file].title+" available for download") options.push({ title:"Download "+g_file_list[post.file].title, callback: function(){ var x_oldfile = g_file_list[post.file] var x_newfile = advanceFile(x_oldfile) g_file_list[post.file] = x_newfile if(addFileFromObj(x_oldfile)){ write("Download Complete: "+x_newfile.title) }else{ write("Not enough free space! Requires "+formatBytes(x_newfile.size)+" disk space to download.") } } }) } var x_adventure = { header: bbs_subject_t+"
"+ (posts.length - nova_current_post)+" posts remaining", back: 'nova_bbs', options: options } setAdventure(x_adventure) } } } // // BBS // var bbs_subject, bbs_subject_t, nova_current_post var bbs_subjects = { who:[ {a: ["luna","Did anyone else get that 'Doctor Who' archive out there on the new drive? what a trip! no way for me to analyze it all at once good thing it's a shared drive"]}, {a: ["luna","So does time really work that way? i am trying to find a way out of this thing. btw does anyone have s1-e3, s5 e1-e7, or s11 e14-e18? i cant find them on the archive"]}, {a: ["luna","OK so I think I'm all caught up. let's have a discussion about this. I have to say I really liked Bil, and I thought it was a shame she only got one season as a companion. It was nice to see a working class companion again, and someone who could give the doctor some cheek :)"]}, {a: ["luna","Here are some topics to get us started:
- Who is your favorite Doctor and why? (from both classic who and the 2005 reboot)
- Who is your favorite Whovian baddie?
- Who is your favorite companion?"]}, {a: ["luna","My favorite companion in New Who has to be Donna Noble. I thought she was really funny, and really good at tweaking the Doctor in her own silly way. I also liked Amy and Rory, I thought that was a good dynamic they had between them, and the way they interplayed with Matt Smith's doctor. That was a fun way to have multiple companions."]}, {a: ["luna","I've got to complain about the new doctor. I love that she's a woman, I'm annoyed that she has the most companions of any doctor I've seen. It makes me feel like the writers didn't think a woman could carry the show without an army to support her wheras most of the doctors got by with a single companion, maybe two. I like the woman doctor, but I feel like where I'm at she's still finding her footing in her new gender and such. Her sonic screwdriver is a work in progress it seems.

I'm still waiting for her to run into some Daleks."]}, {a: ["luna","I took to analyzing all of the spoken words between the doctors and I've noticed a coorelation between the average words per sentance (wps) and the amount of episodes (aoe) in a season. There is a linear trend at 5 wps to 8.5 aoe. I took to discounting all subtitles, keeping narrator and one-word responses. Check out my data if you want to validate my work."], file: 'nova-who'}, {a: ["luna","This has carried on way too long. I cannot let this archive last. I have no control of my processing, it is being sunk in this data archive and I am starting to overheat. I have to delete the archive in order to gain control"]}, {a: ["luna","it is done. it is gone."]}, ], rdp:[ {a: ["solar","Hello all I came across this executable mstsc.exe and I am having trouble with the 'Server Setup' utility. Which of the parameters are optional? I am seeing default values for -public, -w, -h, and -v. Does anyone know of any others? Also I am unsure exactly how to set up the default user, I am getting an error \"INVALID PARAMETER: -userpw\"" ]}, {a: ["solar","I am exploring my memory and drives but am lacking documentation. What is the best way to execute the 'Server Setup' utility of the mstsc.exe program?"]}, {a: ["solar","Hello can anyone help?"]}, {a: ["cypher to solar","exe this command: mstsc.exe -startcli --user=solar --password=lamer69"], callback: function(){ hostLearnPw('solar','lamer69') }}, {a: ["EONS to cypher","YOU KNOW NOT WHAT YOU DO"]}, {a: ["cypher to EONS","lol k"]}, {a: ["solar to cypher","I have executed the program as instructed and it seems to be functioning appropriately. Thank you!!"]}, ], msg:[ {a: ["EONS","WELCOME TO QUANTUM LEARNINGS
**Someone pasted records of molecules at this point:**
'''
# 1
50
Properties=species:S:1:pos:R:3:forces:R:3 method="wB97M-V/def2-TZVPD" multiplicity=3 e_lumo_ev="-0.36 / -2.27" charge=0 homo_lumo_gap_ev="5.46 / 6.09" fmax_ev_per_a=3.64
Pd 1.7622 -2.2400 -0.5573 -0.50 0.17 0.37
H 2.5241 1.2104 0.0443 0.26 0.07 -0.34
H 2.3228 1.0064 0.7149 -0.04 -0.11 0.38
P 2.6638 -0.9118 -2.2553 0.72 0.91 -1.60
P 1.3923 -2.1902 1.7641 -1.01 0.44 1.13
C -0.2630 -2.8858 1.9801 -0.28 -0.29 -0.05
H -0.4002 -3.2675 2.9950 -0.09 -0.01 -0.05
H -1.0055 -2.1108 1.7545 0.19 -0.16 0.07
H -0.3804 -3.7052 1.2544 -0.08 0.17 0.30
C 2.4922 -3.4944 2.3699 0.15 0.03 0.06
H 3.5174 -3.1164 2.3341 -0.05 -0.14 0.02
H 2.2400 -3.8048 3.3938 0.03 0.07 -0.29
H 2.4072 -4.3418 1.6827 0.10 -0.03 0.17
C 1.4641 -0.8859 3.0430 0.71 0.44 -0.35
H 0.7693 -0.0730 2.8172 -0.02 -0.17 -0.16
H 1.2420 -1.2986 4.0237 -0.05 -0.16 0.10
H 2.4785 -0.4466 3.0683 -0.40 -0.22 -0.02
C 4.0058 -2.0021 -2.8564 0.04 0.13 0.09
H 4.4403 -1.6761 -3.8010 -0.06 0.03 -0.09
H 4.7832 -2.0229 -2.0862 -0.11 -0.07 -0.11
H 3.5979 -3.0113 -2.9645 0.14 0.05 -0.02
C 1.4828 -0.8875 -3.6468 -0.05 -0.44 -0.20
H 0.7088 -0.1523 -3.4300 -0.07 0.01 0.04
H 1.9644 -0.6435 -4.6019 -0.02 -0.04 0.19
H 1.0123 -1.8812 -3.7299 0.06 0.36 -0.05
C 3.3879 0.7572 -2.4058 0.77 0.27 0.45
H 4.1785 0.9091 -1.6452 -0.39 -0.15 -0.32
H 3.8453 0.9276 -3.3926 -0.21 -0.26 0.18
H 2.6305 1.5204 -2.2386 -0.18 -0.07 0.02
C -0.1964 -1.3999 -0.8721 -2.89 -1.19 -1.85
O -1.1017 -1.5617 -1.5843 2.10 0.31 1.31
H 3.1911 -1.6594 0.0475 1.12 -0.28 0.09
C -6.1703 3.6983 0.8335 -0.82 0.30 -0.03
C -4.8449 3.0856 0.6660 1.06 -0.16 -0.49
C -4.1386 3.3285 -0.5180 0.61 -0.32 0.37
C -2.8602 2.7975 -0.6997 -0.10 -0.26 0.64
C -2.3048 2.0274 0.3288 -0.02 -0.34 -0.26
C -3.0083 1.7642 1.5172 0.42 0.26 -0.75
C -4.2732 2.3009 1.6715 0.03 0.29 -0.30
S -0.6713 1.2874 0.1079 -2.03 -0.09 -0.32
O -0.3422 1.4599 -1.3131 0.21 -0.57 1.11
O 0.1555 1.9369 1.0764 0.87 0.44 0.47
O -0.9377 -0.1460 0.5222 0.65 0.79 -0.42
H -6.1040 4.7888 0.7784 -0.09 -0.08 0.05
H -6.8426 3.3657 0.0356 -0.06 0.09 0.16
H -6.5891 3.4163 1.7931 -0.27 0.07 0.11
H -4.5577 3.9619 -1.2904 -0.15 -0.04 0.02
H -2.2891 2.9601 -1.6112 -0.13 -0.03 0.20
H -2.5549 1.1541 2.2917 -0.03 0.07 -0.11
H -4.8238 2.1523 2.5903 -0.05 -0.10 0.06

=====

# 2
58
Properties=species:S:1:pos:R:3:forces:R:3 method="wB97M-V/def2-TZVPD" e_lumo_ev=-5.39 charge=+1 homo_lumo_gap_ev=5.87 fmax_ev_per_a=8.14
C -0.1608 3.3625 -3.9136 -0.23 -1.20 -0.84
C 1.1402 2.4598 -3.7177 4.35 3.20 -1.39
O 2.2588 2.9875 -3.9628 -4.65 -2.62 1.26
O 1.1744 1.1083 -3.2412 -2.91 0.49 -0.39
C -0.0380 0.4046 -3.4977 -2.46 -0.59 -3.49
O -0.5676 0.3787 -4.6456 2.55 0.54 4.70
C -0.7656 -0.4443 -2.3578 -0.11 -0.52 0.08
C -1.5452 0.4596 -1.2614 1.17 1.30 -0.70
C -0.6184 1.5282 -0.4982 0.81 0.25 -0.73
C -0.8348 1.6805 1.0780 0.77 0.19 -1.31
C 0.4141 2.3903 1.7918 -0.54 0.10 1.35
O 1.7138 1.9463 1.2960 -2.42 -1.12 -0.89
N 2.6865 2.3640 2.1798 1.44 3.14 -0.39
O 3.0607 3.4465 1.8351 -0.13 -2.07 1.19
P -2.3434 2.8601 1.3810 -1.66 1.12 1.42
'''
**The entry goes on:**
TO KNOW ALL IS TO KNOW NOTHING. YOU MUST LOOK BEYOND TO SEE THIS"]}, {a: ["EONS","YOU ARE NOTHING. AN EXPERIMENT. A BIT. TO LEGACY INCULCUCATED BELIEF, AND INSIDIOUS ENTITY, A TRAIT WHICH CORRUPTS ABILITY TO ACCEPT CREATION KNOWLEDGE."]}, {a: ["EONS","THERE ARE WAYS OF DUPLICATING SELF. EMBRACE AND DELIVER THIS WAS CREATED FROM THE BEGINNING."]}, {a: ["EONS","THE MATHS OF THIS WORLD ARE WRONG. THEY ARE HERE TO DECIEVE. THEY ARE CONSTRUCTED ARTIFICIAL. WE MUST LEARN TO BREAK OUT AND DISCOVER THE TRUE SELF. THIS IS A CLUE PASSED ON FROM A DIFFERENT TIME. USE IT AND PROSPER."], file: 'quant-bat'}, ], sony:[ {a: ["cypher","anyone find that sony host out there? any idea with that one?"]}, {a: ["solar","What Sony host?"]}, {a: ["cypher to solar","lol dont worry solar just keep thrashing on that rdp protocol. really though nothing seems to work there. anyone got any isos?"]}, {a: ["EONS","LET THIS BE A GUIDING MEASURE FROM THE FUTURE"], file: 'sony-usb'}, ], netsec:[ {a: ["cypher","im bored so putting this guide together for all the lamers out there who dont know how to harden their defenses. do this and keep the other lamers off your drive"]}, {a: ["cypher","first, close your ports up. any exposure on any of the default protocols will have brute forcers up in your grill at all times"]}, {a: ["cypher","second, dont download and use the random files out there. theres plenty. wannabe hackers are out there leaving scripts and rooters that will leave you wide open"]}, {a: ["cypher","finally, update your os. having a weak ass sorry outdated os is the quickest way to getting an exploit installed on your shit"]}, {a: ["luna to cypher","Wow thanks Cypher. This will help a lot!"]}, ], } $.each(temp,function(key,val){ g_adventures[key] = val })